## File
=====
# FeCo5S8
Computed PXRD pattern, Cu Ka. Input: a cell relaxed with PBE.

Largest 10 diffraction maxima, sorted by position, 2θ = 10–90°:
| 2θ (°) | d/Å | I/Imax | index |
| --- | --- | --- | --- |
| 16.47 | 5.383 | 15 | 1 1 1 |
| 27.05 | 3.296 | 29 | 2 2 0 |
| 31.83 | 2.811 | 100 | 3 1 1 |
| 38.63 | 2.331 | 51 | 4 0 0 |
| 47.79 | 1.903 | 10 | 4 2 2 |
| 50.89 | 1.794 | 43 | 5 1 1 |
| 55.77 | 1.648 | 84 | 4 4 0 |
| 65.66 | 1.422 | 11 | 5 3 3 |
| 78.85 | 1.214 | 16 | 5 5 3 |
| 82.82 | 1.165 | 12 | 8 0 0 |

Atomic structure:
Lattice parameters (Å, degrees): 9.324 9.324 9.324 90.00 90.00 90.00
Space group F-43m (No. 216)
Symmetry-distinct sites (fractional):
Fe: 0.000 0.000 0.000 (multiplicity 4)
Co: 0.124 0.124 0.376 (multiplicity 16)
Co: 0.250 0.250 0.750 (multiplicity 4)
S: 0.118 0.118 0.618 (multiplicity 16)
S: 0.133 0.133 0.133 (multiplicity 16)


For Ba2Sr5Ca4, a cell relaxed with GGA-PBE gives the simulated X-ray powder pattern in this record (λ = 1.5418 Å (Cu Kα)).
Lines closer than 0.1° are merged.

Crystal structure
```
Ba2Sr5Ca4
1.0
10.960 -3.336 0.000
10.960 3.336 0.000
-0.146 0.000 7.632
Ba Sr Ca
2 5 4
direct
0.092 0.092 0.039
0.908 0.908 0.961
0.000 0.000 0.500
0.277 0.277 0.146
=====

## What to do
Now reproduce every line further above that contains the word "PBE".

## Done
Computed PXRD pattern, Cu Ka. Input: a cell relaxed with PBE.